Following these principles will help your scheme to achieve multiple benefits for the wider environment, ecology, heritage, visual landscape, and people whilst being fit for purpose in meeting your objectives. It will also help to minimise the risk of unintended consequences of planting the wrong tree in the wrong place.
Take account of the landscape context
- Ask ‘how could more tree cover and woodland in this landscape help maintain or enhance the character of the landscape and the way it functions?’
We believe all landscapes in Devon have some potential for increased woodland cover – some more than others depending on their key characteristics and special qualities. - Start by understanding the landscape. Survey the land – stand on a high point where you can gain a prospect over the area. Gain a deeper understanding of your local landscape and how its character is perceived by people – refer to Landscape Character Assessments. For proposals affecting National Parks and AONBs, ensure the natural beauty and special qualities of protected landscapes are conserved and enhanced. These are described in their Management /Partnership Plans. You can find links to the website of each protected landscape in Devon on the National and UNESCO designations page on Devon County Council’s Environment website.
- Seek inspiration – look at our annotated sketches showing Devon’s landscape now and our vision for how it could look in 30 years time with more tree cover. Read Landscape Character Assessments and associated guidelines applicable to the area; these suggest how you can respect and enhance the key characteristics and special qualities of your local landscape and protect and manage valued features which already provide environmental benefits. They also suggest ways you can positively change the landscape to deliver more environmental benefits, for example by linking existing fragmented woodland for the expansion of wildlife habitats.
- Once you’ve identified potential sites or features you want to change, undertake analysis – identify environmental sensitivities.
- Start to formulate your design proposals. Apply the UKFS design principles (see Step 4: Choose the right place) when siting and designing new woodland within the context of your local landscape area.
- Be aware of how insensitive woodland creation could harm or erode the special qualities and key characteristics of the landscape for future generations. Key challenges include fitting larger-scale woodland into existing historic field patterns and conserving views.
- If selecting non-native tree species that may be more climate resilient, consider the landscape context and how well they will fit into this once fully grown. Some species may ‘stick out like a sore thumb’ and should be used with care in the countryside, whilst others are visually very similar to our native trees.
- Whilst diversifying a woodland will make it more robust and resilient to a changing climate it must be done thoughtfully. For more on this issue see Woodland Trust’s Position Statement also the Forestry Commission’s Position Statement and their guidance on forest management in a Changing Climate
- Seek to retain contrasts between upland and lowland landscapes by respecting existing variations in hedge patterns, tree and hedge species, etc.
- Skylines in some Devon landscapes are particularly distinctive and may include landmarks and features that add to a sense of place. Care is needed to ensure new woodland creation maintains and respects such valued skylines.
- Landscapes that have not previously been enclosed, such as upland moorland and coasts, may have a high aesthetic, recreational and heritage value. These areas are frequently ‘Open Access’ land and are likely to be popular for recreation as they offer high scenic quality, a sense of vast scale, wildness, lack of human intervention and far-reaching views. Some scrub and woodland regeneration may be appropriate in upland river valleys of moorland areas, and at the margins of moorland and woodland, as it would allow natural transitions of habitats as part of a mosaic subject to dynamic change. This may be more appropriate to the natural character of such open unenclosed landscapes rather than creating blocks of distinct tree planting with hard linear edges.
- Respect local variations in tree species; for example Devon Whitebeam, Plymouth Pear and North Devon Mazzard (cherry). Hedge fruit trees are more common in West Devon, reflecting the fruit growing which historically took place here. Beech is characteristic in hedges on Exmoor and in the northern Blackdown Hills.
- Continue local landscape details, such as traditional local variations in hedge construction. Try to match the construction of nearby hedges.
- Ask ‘how could more tree cover and woodland in this landscape help maintain or enhance the character of the landscape and the way it functions?’
Work with nature
- Protect ecologically valuable non-wooded habitats such as flower rich grasslands, heathland, wetlands. These are known as ‘Priority Habitats’ (See our information in Step 3 on potential sensitivities). National Priority Habitats sourced from the Government’s MAGIC website can be seen on the woodland planting considerations map on DCC’s Environment Viewer. Some other important habitats may not be mapped, for example tussocky grassland that supports insects and small mammals and provides important feeding areas for bats and birds. If you are unsure about the habitat value of a site, seek specialist advice.
- Use the principle of ‘bigger, better, more joined up’. Take opportunities to link woodlands, copses, and hedges to create habitat corridors.
- Acknowledge the value of ‘edge’ and dynamic habitats – scrub areas on the edges of woodland which can be very rich in wildlife.
- If planting a woodland for biodiversity is the main aim, then select ecologically appropriate species for your scheme – i.e. look at the native species which are thriving nearby – and select a diversity of species. Consider the National Vegetation Classification (NVC) type associated with the soil and climate.
- Support some natural regeneration of woodland where this meets management objectives. This may help create more natural looking woodland, but depending on the availability of seed sources, it can fail to result in tree cover or lead to a monoculture.
- Help avoid the spread of disease by choosing trees that are certified ‘Plant Healthy’ and have been sourced and grown in the UK from nurseries with good biosecurity (see Step 7: Put your scheme into practice).
- Change management regimes of existing hedges to be more useful, abundant with wildlife, resilient, and better for carbon storage. Manage hedges using traditional techniques such as laying and coppicing, and allow some hedgerow trees to grow out. This will increase the hedges’ biodiversity value, as well as keeping them functional and providing shade for animals. Grassy hedge and field margins are also very important habitats and should be considered to be part of the hedge. Think of the long-term management of the hedge. See management advice published by Devon Hedge Group.
Address climate change and flooding
# What comes next are calculated crystals, not part of the page
- - -
No. 1
DFT (PBE-GGA) results for a relaxed structure of SiTcPb2.

It has space group Pm (No. 6), with a = 4.243 Å, b = 4.103 Å, c = 5.424 Å, α = 90.00°, β = 112.99° and γ = 90.00°. The distinct sites, in fractional coordinates, are Si at (0.000, 0.000, 0.000), Tc at (0.879, 0.500, 0.755), Pb at (0.285, 0.000, 0.568) and Pb at (0.585, 0.500, 0.167).

The calculation puts the total magnetization at 0.00 μB per cell. The density of states at the Fermi level is 2.47 states/eV per cell. The value obtained for the formation energy (no corrections) is 295 meV per atom.



No. 2
DFT (PBE-GGA) results for a relaxed structure of SiTc3Pb.

It has space group Pm-3m (No. 221), with a = 5.087 Å, b = 5.087 Å, c = 5.087 Å, α = 90.00°, β = 90.00° and γ = 90.00°. The distinct sites, in fractional coordinates, are Si at (0.000, 0.000, 0.000), Tc at (0.000, 0.500, 0.500) and Pb at (0.500, 0.500, 0.500).

The calculation puts the total magnetization at 7.95 μB per cell. The energy above the most stable polymorph in this dataset is 9.36 eV/f.u. The density of states at the Fermi level is 7.02 states/eV per cell. The value obtained for the formation energy (no corrections) is 2603 meV per atom.



No. 3
DFT (PBE-GGA) results for a relaxed structure of SiTcPb2.

It has space group Cm (No. 8), with a = 7.966 Å, b = 3.469 Å, c = 7.420 Å, α = 90.00°, β = 108.96° and γ = 90.00°. The distinct sites, in fractional coordinates, are Si at (0.000, 0.000, 0.000), Tc at (0.306, 0.000, 0.019), Pb at (0.097, 0.500, 0.699) and Pb at (0.256, 0.500, 0.320).

The calculation puts the total magnetization at 0.00 μB per cell. The density of states at the Fermi level is 5.44 states/eV per cell. The value obtained for the formation energy (no corrections) is 194 meV per atom.



No. 4
DFT (PBE-GGA) results for a relaxed structure of SiTcPb4.

It has space group F-43m (No. 216), with a = 8.857 Å, b = 8.857 Å, c = 8.857 Å, α = 90.00°, β = 90.00° and γ = 90.00°. The distinct sites, in fractional coordinates, are Si at (0.000, 0.000, 0.000), Tc at (0.250, 0.250, 0.750) and Pb at (0.125, 0.125, 0.375).

The calculation puts the total magnetization at 11.16 μB per cell. The density of states at the Fermi level is 18.75 states/eV per cell. The value obtained for the formation energy (no corrections) is 1096 meV per atom.



No. 5
DFT (PBE-GGA) results for a relaxed structure of SiTcPb2.

It has space group Pmmm (No. 47), with a = 3.600 Å, b = 4.533 Å, c = 5.270 Å, α = 90.00°, β = 90.00° and γ = 90.00°. The distinct sites, in fractional coordinates, are Si at (0.000, 0.000, 0.000), Tc at (0.500, 0.000, 0.500), Pb at (0.000, 0.500, 0.500) and Pb at (0.500, 0.500, 0.000).

The calculation puts the total magnetization at 0.00 μB per cell. The density of states at the Fermi level is 3.85 states/eV per cell. The value obtained for the formation energy (no corrections) is 864 meV per atom.



No. 6
DFT (PBE-GGA) results for a relaxed structure of SiTcPb2.
- - -
# End of the calculated crystals
- Work with natural processes – take opportunities to ensure the creation of new woodland and hedges contributes to natural flood management within a river catchment.
Use the Environment Agency’s Resilient Catchment Management Tool to identify priority areas where hedge planting (along contours), catchment woodlands, riparian tree planting and valley floor woodland can help reduce surface water runoff and soil erosion. See also Devon County Council’s Natural Flood Management Guidance - Retain and enhance existing valley floor wetlands as habitats and flood storage.
- Chose a diversity of species to plant, to reduce the proportion potentially affected by new plant pests or diseases.
- Conserve soil quality and infiltration rates by ensuring tree establishment methods and management operations do not lead to soil compaction or pollution. Relieve areas of compacted soil prior to planting e.g. through ripping with a subsoiler. Avoid using heavy machinery where soils are wet.
- Plan for sustainable timber production in line with the UK Forestry Standard. We currently import 80% of our timber needs. Reducing this will not only help the economy but also reduce carbon emissions from fuel transporting this heavy product from overseas.
- Work with natural processes – take opportunities to ensure the creation of new woodland and hedges contributes to natural flood management within a river catchment.
Respect the past
- Respect the historic environment by re-establishing lost tree features in the landscape (for example orchards and woodlands) and strengthening historic field patterns where possible. (See Step 4: Choose the right place for more information).
- Avoid woodland planting in areas of rare historic field patterns (e.g. medieval strip fields and other intact medieval field systems). Instead, consider strengthening the field patterns through replacing lost sections of hedge, or managing existing hedges better for wildlife, to be more productive, and to store more carbon. (See Step 4: Choose the right place for more information).
- Designated heritage assets (Scheduled Monuments, Registered Parks and Gardens and Listed Buildings) are generally not appropriate areas for woodland planting.
- The settings of designated heritage assets should also be considered. Seek advice from a historic environment specialist if you are unsure about the potential impacts of your scheme on the setting of a designated asset.
- Not all historic or archaeological sites are designated, and some (such as earthworks and cropmarks) are highly sensitive to tree planting or scrub regeneration. Refer to the Historic Environment Record and woodland planting considerations map published on Devon County Council’s Environment viewer. Also, see Step 3: Check for potential sensitives for more information.
- Bear in mind that the growth of tree roots can damage below-ground archaeology. However, it is possible that land management practices in the past – such as repeated ploughing of fields – may already have caused damage. If in doubt, seek advice from a historic environment specialist.
- Work with landowners and Natural England to develop parkland management plans to promote the parkland and veteran trees of the future, and to encourage wood pasture.
Think about people and their opportunities to visit, work, and enjoy the landscape
- Identify opportunities to enable people to access trees and countryside through integrating things like new paths, Green Infrastructure and accessibility improvements into the planting design.
- Where appropriate, identify opportunities for tree planting to promote productive, economically profitable, and sustainable use of land.
- Where possible, integrate opportunities for new jobs, skills training, and participation of community volunteers for example with tree planting, woodland, and hedge management.
- Enable people to continue to enjoy wide open spaces and panoramic views from open access land, and ensure woodland design and future management allows people to enjoy publicly accessible viewpoints and vistas across a landscape without them becoming obscured by tree growth.
Step 3: Check for potential sensitivities
Step 1: Identify your objectives – Devon Local Nature Partnership (